Signature events are key in the overall experience of a company, product or individual.
These data records were left in the text by mistake.
/*
Material: Cs2CoI4
Method: DFT, PBE
State: optimized geometry

Summary:
total magnetization = 3.9 μB/cell
energy of formation from the pure elements = -1.06 eV per atom
space group = No. 62
energy = -0.2195 Ry per atom

a b c (Å): 11.131 8.366 14.645
angles (deg): 90.00 90.00 90.00
Atoms (fractional coordinates):
Cs 0.023 0.250 0.164
Cs 0.132 0.750 0.398
Cs 0.368 0.250 0.898
Cs 0.477 0.750 0.664
Cs 0.523 0.250 0.336
Cs 0.632 0.750 0.102
Cs 0.868 0.250 0.602
Cs 0.977 0.750 0.836
Co 0.239 0.750 0.078
Co 0.261 0.250 0.578
Co 0.739 0.750 0.422
Co 0.761 0.250 0.922
I 0.008 0.750 0.102
I 0.171 0.503 0.651
I 0.171 0.997 0.651
I 0.188 0.250 0.409
I 0.312 0.750 0.909
I 0.329 0.003 0.151
I 0.329 0.497 0.151
I 0.492 0.250 0.602
I 0.508 0.750 0.398
I 0.671 0.503 0.849
I 0.671 0.997 0.849
I 0.688 0.250 0.091
I 0.812 0.750 0.591
I 0.829 0.003 0.349
I 0.829 0.497 0.349
I 0.992 0.250 0.898
*/
how can we help you?
We can help keep you true to self and on brand every step of the way. Our signature event 1-on-1 consultations consists of a series of meetings and strategy calls that take deep dives into your brand to solidify and amplify your personality, vision and goal, ensuring these pillars are exuded throughout your event. Our 3 stage process is used to help strategically navigate you through our consulting journey.
The Three Stages of Event Production
The Introductory Stage: Framing the Foundation
Stage one is where the vision and execution must first align. In this stage, the vision is weaved into the varying steps needed to produce your event, such as the size, complexity, and the type of event you intend on executing. By framing the foundation of the event in the introductory stage, event organizers can set the stage for a successful and engaging event.

Our goal is to take your standard event and set you apart from the rest.
How? By customizing the experience to your personal brand through strategy, creativity and through curating a unique experience.

the time is now!
1-on-1 Consultations with Amanda J
The Visionary
The Team
The Expansion
Have a vision, an idea or a concept yet don’t know where to start? This consultation package is for you. The visionary package is for those looking to launch a signature event in their field of expertise with the aim to scale their brand and/or build their community and brand visibility. How you show is just as important as what you’re offering so launching with excellence and on brand is ideal.
The start never looks as good as the finish but the foundation matters so let’s build to last!
The team package best serves collaborative events with multiple brands or a visionary looking to scale not only the vision but those meant to carry it out. This package caters to the overall scope of a signature event and touches on areas like marketing, sponsorship, branding, logistics and team building and management. The team package ensures everyone is scaling on the same page and with the right messaging to ensure a successful signature event with excellent execution.
The Expansion package is meant for those looking to scale their event to reach a greater audience and level-up their event experience. It’s also optimal for those who’ve scaled their business and want to reintroduce their signature event to the world and their community. Brand pivots are necessary and somewhere along the way, as a brand you will shift your trajectory, specify your niche or add to your brands identity. Let me help you stay true to your identity while expanding your personality through this expansion package.